# Source
-- begin --
No. 1
Diffraction record for K2InSbTe4. The powder XRD pattern is simulated, not measured: it uses DFT lattice parameters and positions (GGA-PBE) and Cu Kα (λ = 1.5418 Å).
Intensities are scaled so that the largest is 1000.

Atomic structure:
```
K2InSbTe4
1.0
-4.589 4.696 6.576
4.589 -4.696 6.576
4.589 4.696 -6.576
K In Sb Te
4 2 2 8
Cartesian
0.000 0.000 0.000
-2.295 2.348 3.288
0.000 4.696 0.000
2.295 2.348 3.288
2.295 2.348 -3.288
2.295 -2.348 3.288
4.589 0.000 0.000
0.000 0.000 6.576
4.589 -0.307 3.136
4.589 4.389 -3.136
2.510 2.348 -0.213
6.668 2.348 -0.213
-2.079 2.348 6.789
2.079 2.348 6.789
0.000 0.307 9.712
0.000 5.003 3.439
```

The 8 most intense peaks (2θ = 10–90°), by intensity:
d_spacing  I (rel.)
3.284  1000
2.323  471
7.643  172
1.469  169
7.527  131
1.882  120
2.295  119
2.348  116


No. 2
Diffraction record for K8InSe6. The powder XRD pattern is simulated, not measured: it uses DFT lattice parameters and positions (GGA-PBE) and Cu Kα (λ = 1.5418 Å).
Intensities are scaled so that the largest is 1000.

Atomic structure:
```
K8InSe6
1.0
8.945 0.000 0.000
0.000 9.360 0.000
0.000 0.000 13.885
K In Se
16 2 12
Cartesian
0.000 1.284 0.000
0.000 2.235 6.101
1.800 6.416 1.603
1.824 5.215 11.157
2.018 8.697 10.617
2.454 0.662 3.675
2.648 4.145 4.214
2.672 2.944 8.546
4.472 7.124 13.043
4.472 8.076 6.942
6.272 2.944 8.546
6.296 4.145 4.214
6.490 0.662 3.675
6.926 8.697 10.617
7.121 5.215 11.157
7.145 6.416 1.603
0.000 7.070 6.950
4.472 2.290 0.007
0.000 2.751 2.956
0.000 4.817 8.275
0.000 7.310 12.957
0.000 9.317 8.235
1.692 7.136 4.892
2.780 2.224 11.834
4.472 0.042 1.293
4.472 2.050 6.014
4.472 4.543 1.333
4.472 6.609 9.898
6.165 2.224 11.834
7.252 7.136 4.892
```

The 8 most intense peaks (2θ = 10–90°), by intensity:
d_spacing  I (rel.)
3.760  1000
3.878  929
-- stop --

# Exercise
Search the material earlier on for the word "The" and quote each line that has it.

# Here it is
Diffraction record for K2InSbTe4. The powder XRD pattern is simulated, not measured: it uses DFT lattice parameters and positions (GGA-PBE) and Cu Kα (λ = 1.5418 Å).
The 8 most intense peaks (2θ = 10–90°), by intensity:
Diffraction record for K8InSe6. The powder XRD pattern is simulated, not measured: it uses DFT lattice parameters and positions (GGA-PBE) and Cu Kα (λ = 1.5418 Å).
The 8 most intense peaks (2θ = 10–90°), by intensity: